Friday, August 22, 2014

I went to the doctor yesterday to have a few things checked out...first off, let me just say that when you are a cancer patient, you don't just "go to the doctor"...  You go to your oncologist, after first calling their triage nurse...who relays all your info to your team...who then determines what to do with you.  My symptoms?  A cough, and a sore throat.  I got an appointment for the next day, at 3:15.  I didn't realize that just stopping in for those symptoms was the equivalent of having a normal visit with them...which meant having to go through all the intake stuff I've talked about before...the blood draw...the blood pressure...the dreaded weigh-in...the temperature check.  Then, the meeting with the person to go over your meds and issues...etc.  a full 25 minutes is given for pre-check stuff...and you still haven't seen the doctor!

What I learned is that my white blood count is dangerously fact, a lot of my counts are low.   I'm actually a fever away from being hospitalized on IV antibiotics.  I was pretty stunned.  This, she explained, is why I've had such a hard time this round, and haven't bounced back like I did my second round.  Now, this was nothing like my first round, which was very difficult, but still, I've been very fatigued and to-the-bone tired.  Change the bed...have to lay on it.  Change a few pillowcases, have to lay down again.  I went to my son Drake's first soccer scrimmage last Friday, was too tired to make it to the second one at 7:45 at night...I think I was sleeping in bed at 8:00...and didn't leave the house until Tuesday.   Tired.  Worn out.  And feeling, somehow, guilty about it.  And even when I did go out on Tuesday, it was brief.  Same on Wednesday, I went into school and to Meijer's...Then on Thursday, Steve and I went out for lunch and did a little shopping before my doctor's appointment...tired me right out.

I told my doctor I thought I did everything right this time, I'd learned from the first round...I drank plenty of fluids...took my Claritin...ate regularly and pretty plenty of rest...she said, quite simply, "it's the chemo.  You really can't predict what it will do.  The neulasta shot is supposed to help with your blood count's chemo."  Hard lesson learned...again, you just can't predict...or plan...or suppose to you are going to be a week from Wednesday....even though maybe two weeks ago, you were fine, this time can be different.

So, long story short, I'm on two as a preventive measure so I DON'T end up in the hospital, and the other for my cough/sore throat thing.  They don't mess around when you're doing chemotherapy...but the best part is, she thinks I'll be better this weekend.  That's definitely good news.

I haven't written before now, and this is probably the longest between blogs that I've gone, because truthfully, I didn't feel there was much to write about.  Ooohhhh, I've been home.  I've been watching tv.  I've read a few books.  I've been really tired.  Even that bores me.  But also, there is something I'd like to say to all people who are having a conversation with a person going through cancer... Please don't ask them when they will know if their treatment is having any effect...personally, I'm 6 weeks in of a 20 week chemo regimen.  I don't even want to entertain the idea that I've lost my hair, my energy and my SUMMER....for perhaps nothing.  I want to believe that what I'm doing is KILLING my CANCER, that my team of doctors know what they are doing, and at the end of this, I will reap the, not Ed McMahon showing up at my door, though I order enough magazines to totally justify a visit...THE prize, of course, being I get to have my life back.  Because right now, it doesn't feel a whole lot like my feels like someone else's....someone who has to avoid the sun, is bald, and when she goes out feels like she's wearing a costume on her head....ask anyone, I never wanted to dress up for Halloween, wear a hat, or basically do anything that didn't allow me to feel like myself.  Well....the joke's on me now, because every day is October 31st around here.  From Saturday to Monday, I was bald around the house, with an occasional bandana thrown in for company.  Tuesday was the first day I put on a wig in several days, and after about 3 hours, I just had to get it off my head.  Same with Wednesday and Thursday...too tight, too hot, too too too...fill in the blank, it would probably fit.  I wore my brunette wig yesterday at the doctor's office...they all loved it.  They are so nice there, like I've said before, for a terrible place to be, they sure try to make it as pleasant as possible.  One more round of the A C.  Then the Taxol.  I can do this.

Unrelated to this entry: materials data:
- - -
*i*
VASP calculation (PBE with a Hubbard U) on a relaxed LiV3OF11 crystal.

```
data_LiV3OF11
_cell_length_a 15.380
_cell_length_b 5.240
_cell_length_c 5.412
_cell_angle_alpha 90.00
_cell_angle_beta 100.07
_cell_angle_gamma 90.00
_symmetry_space_group_name_H-M 'P 1'
_symmetry_Int_Tables_number 1
loop_
_symmetry_equiv_pos_as_xyz
'x,y,z'
loop_
_atom_site_label
_atom_site_type_symbol
_atom_site_fract_x
_atom_site_fract_y
_atom_site_fract_z
_atom_site_occupancy
Li1 Li 0.000 0.210 0.000 1
Li2 Li 0.000 0.790 0.500 1
V1 V 0.233 0.249 0.034 1
V2 V 0.233 0.751 0.534 1
V3 V 0.563 0.250 0.700 1
V4 V 0.563 0.750 0.200 1
V5 V 0.890 0.281 0.385 1
V6 V 0.890 0.719 0.885 1
O1 O 0.921 0.452 0.679 1
O2 O 0.921 0.548 0.179 1
F1 F 0.005 0.143 0.382 1
F2 F 0.005 0.857 0.882 1
F3 F 0.115 0.335 0.991 1
F4 F 0.115 0.665 0.491 1
F5 F 0.206 0.053 0.720 1
F6 F 0.206 0.947 0.220 1
F7 F 0.254 0.444 0.347 1
F8 F 0.254 0.556 0.847 1
F9 F 0.345 0.160 0.072 1
F10 F 0.345 0.840 0.572 1
F11 F 0.450 0.337 0.658 1
F12 F 0.450 0.663 0.158 1
F13 F 0.539 0.055 0.385 1
F14 F 0.539 0.945 0.885 1
F15 F 0.587 0.444 0.014 1
F16 F 0.587 0.556 0.514 1
F17 F 0.676 0.167 0.737 1
F18 F 0.676 0.833 0.237 1
F19 F 0.775 0.329 0.312 1
F20 F 0.775 0.671 0.812 1
F21 F 0.874 0.047 0.052 1
F22 F 0.874 0.953 0.552 1
```

=====

*ii*
VASP calculation (PBE with a Hubbard U) on a relaxed LiV3OF11 crystal.

```
data_LiV3OF11
_cell_length_a 5.300
_cell_length_b 5.450
_cell_length_c 15.305
_cell_angle_alpha 99.92
_cell_angle_beta 90.27
_cell_angle_gamma 90.38
_symmetry_space_group_name_H-M 'P 1'
_symmetry_Int_Tables_number 1
loop_
_symmetry_equiv_pos_as_xyz
'x,y,z'
loop_
_atom_site_label
_atom_site_type_symbol
_atom_site_fract_x
_atom_site_fract_y
_atom_site_fract_z
_atom_site_occupancy
Li1 Li 0.000 0.000 0.000 1
Li2 Li 0.493 0.572 0.015 1
V1 V 0.295 0.873 0.177 1
V2 V 0.306 0.531 0.511 1
V3 V 0.313 0.194 0.836 1
V4 V 0.791 0.660 0.833 1
V5 V 0.803 0.371 0.186 1
V6 V 0.806 0.031 0.510 1
O1 O 0.235 0.822 0.066 1
O2 O 0.595 0.401 0.826 1
F1 F 0.007 0.339 0.534 1
F2 F 0.023 0.991 0.870 1
F3 F 0.100 0.490 0.864 1
F4 F 0.102 0.187 0.205 1
F5 F 0.105 0.838 0.533 1
F6 F 0.212 0.153 0.725 1
F7 F 0.221 0.490 0.397 1
F8 F 0.373 0.245 0.959 1
F9 F 0.392 0.572 0.624 1
F10 F 0.403 0.899 0.291 1
F11 F 0.507 0.224 0.488 1
F12 F 0.512 0.895 0.818 1
F13 F 0.517 0.552 0.148 1
F14 F 0.606 0.723 0.487 1
F15 F 0.615 0.065 0.156 1
F16 F 0.710 0.407 0.297 1
F17 F 0.725 0.073 0.624 1
F18 F 0.737 0.755 0.961 1
F19 F 0.887 0.318 0.066 1
F20 F 0.888 0.992 0.397 1
F21 F 0.910 0.673 0.725 1
F22 F 0.997 0.673 0.205 1
```

=====

*iii*
VASP calculation (PBE with a Hubbard U) on a relaxed LiV3OF11 crystal.

```
data_LiV3OF11
_cell_length_a 5.478
_cell_length_b 6.018
_cell_length_c 7.049
_cell_angle_alpha 104.46
_cell_angle_beta 103.60
_cell_angle_gamma 93.25
_symmetry_space_group_name_H-M 'P 1'
_symmetry_Int_Tables_number 1
loop_
_symmetry_equiv_pos_as_xyz
'x,y,z'
loop_
_atom_site_label
_atom_site_type_symbol
_atom_site_fract_x
- - -


  1. Glad you're on antibiotics now and hopefully not at the hospital if these kick in right. Keep kicking cancer's a$$!!!!!

  2. Still thinking of you. You are a strong, positive woman that can fight hard. You've shown yourself that you are a fighter. Some days will be easier than others. Just know that on those days that you are exhausted that you are doing all you can and that is just fine with those that love you. You are still in the beginning of this journey and every treatment, every day that you are able to do that "one thing" is a step toward recovery. You have a great support system and that is half the battle. When you feel like you can't fight anymore that day, look to one of those support people to help pick you up for a bit. I am incredibly impressed with your positive attitude and outlook. Know that you are beautiful because the person you are not the way you look. Natural beauty is something that you have any should be proud of! If you ever need to chat please don't hesitate to call, text, message or whatever. You will remain in my thoughts and prayers for peace and health. Love the Bleilers
